## Work order
Please write out the whole of the lines below exactly.

## File
********
## YWO3 (PBE+U)

Data for an optimized crystal structure of YWO3.

The structure in POSCAR format:
```
YWO3
1.0
3.597 0.000 0.000
-1.799 3.115 0.000
0.000 0.000 12.712
Y W O
2 2 6
Cartesian
0.000 0.000 0.000
0.000 0.000 6.356
0.000 2.077 3.178
1.799 1.038 9.534
0.000 0.000 3.178
0.000 0.000 9.534
0.000 2.077 1.032
0.000 2.077 5.324
1.799 1.038 7.388
1.799 1.038 11.680
```

Properties
SG	P6_3/mmc
energy	-81.123	eV/cell


## 1
Here is a relaxed PuMoW crystal from OQMD via LeMat-Bulk. Energies are from PBE.

Structure (POSCAR):
```
PuMoW
1.0
0.000 3.110 3.110
3.110 0.000 3.110
3.110 3.110 0.000
Pu Mo W
1 1 1
Cartesian
1.555 1.555 1.555 Pu
0.000 0.000 0.000 Mo
4.665 4.665 4.665 W
```

Calculated values
V = 60.14 Å³/f.u.

## 2
Here is a relaxed PuMoW crystal from OQMD via LeMat-Bulk. Energies are from PBE.

Structure (POSCAR):
```
PuMoW
1.0
0.091 -2.113 3.804
-2.530 1.323 3.285
-3.406 -2.413 1.231
Pu W Mo
1 1 1
Cartesian
0.000 0.000 0.000 Pu
-4.384 -2.402 6.240 W
-1.461 -0.801 2.080 Mo
```

Calculated values
V = 58.29 Å³/f.u.

Quick ranking, most stable first: 1, 2.

## 1
Here is a relaxed RbSbMo crystal from OQMD via LeMat-Bulk. Energies are from PBE.

Structure (POSCAR):
```
RbSbMo
1.0
0.000 3.809 3.809
3.809 0.000 3.809
3.809 3.809 0.000
Mo Sb Rb
1 1 1
Cartesian
1.904 1.904 1.904 Mo
5.713 5.713 5.713 Sb
0.000 0.000 0.000 Rb
```

Calculated values
V = 110.49 Å³/f.u.

## 2
Here is a relaxed RbSbMo crystal from OQMD via LeMat-Bulk. Energies are from PBE.

Structure (POSCAR):
```
RbSbMo
1.0
0.000 3.664 3.664
3.664 0.000 3.664
3.664 3.664 0.000
Sb Rb Mo
1 1 1
Cartesian
5.497 5.497 5.497 Sb
1.832 1.832 1.832 Rb
0.000 0.000 0.000 Mo
```

Calculated values
V = 98.42 Å³/f.u.

Quick ranking, most stable first: 2, 1.

## 1
Here is a relaxed RbSrMo crystal from OQMD via LeMat-Bulk. Energies are from PBE.

Structure (POSCAR):
```
RbSrMo
1.0
0.000 4.148 4.148
4.148 0.000 4.148
4.148 4.148 0.000
Sr Mo Rb
1 1 1
Cartesian
6.221 6.221 6.221 Sr
2.074 2.074 2.074 Mo
0.000 0.000 0.000 Rb
```

Calculated values
V = 142.69 Å³/f.u.

## 2
Here is a relaxed RbSrMo crystal from OQMD via LeMat-Bulk. Energies are from PBE.

Structure (POSCAR):
```
RbSrMo
1.0
1.066 -5.611 1.877
-3.832 -4.416 -1.398
1.608 -4.237 -3.950
Mo Sr Rb
1 1 1
Cartesian
-0.290 -3.566 -0.868 Mo
0.000 0.000 0.000 Sr
-0.869 -10.698 -2.603 Rb
```

Calculated values
V = 153.62 Å³/f.u.

Quick ranking, most stable first: 2, 1.

## 1
Here is a relaxed RbTaMo crystal from OQMD via LeMat-Bulk. Energies are from PBE.

Structure (POSCAR):
```
RbTaMo
1.0
-0.344 -3.607 -3.064
-3.699 -0.252 -2.962
0.622 0.762 -4.642
Mo Ta Rb
1 1 1
Cartesian
-0.855 -0.774 -2.667 Mo
-2.566 -2.323 -8.001 Ta
0.000 0.000 0.000 Rb
```

Calculated values
V = 75.56 Å³/f.u.

## 2
Here is a relaxed RbTaMo crystal from OQMD via LeMat-Bulk. Energies are from PBE.

Structure (POSCAR):
```
RbTaMo
1.0
4.678 -0.279 -0.244
2.114 -4.184 0.201
2.047 -1.780 -3.829
Ta Mo Rb
1 1 1
Cartesian
6.630 -4.683 -2.904 Ta
0.000 0.000 0.000 Mo
2.210 -1.561 -0.968 Rb
```

Calculated values
V = 73.06 Å³/f.u.

Quick ranking, most stable first: 2, 1.

## 1
Here is a relaxed MoSeS crystal from OQMD via LeMat-Bulk. Energies are from PBE.

Structure (POSCAR):
```
MoSeS
1.0
3.254 0.000 0.000
-1.627 2.818 0.000
0.000 0.000 13.090
S Mo Se
2 2 2
Cartesian
0.000 1.879 11.410 S
1.627 0.939 4.865 S
1.627 0.939 9.877 Mo
0.000 1.879 3.332 Mo
0.000 1.879 8.165 Se
1.627 0.939 1.620 Se
```

Calculated values
V = 60.03 Å³/f.u.

## 2
Here is a relaxed MoSeS crystal from OQMD via LeMat-Bulk. Energies are from PBE.

Structure (POSCAR):
```
MoSeS
1.0
3.245 0.000 0.000
0.000 11.823 2.807
0.000 -11.823 2.807
Se Mo S
2 2 2
Cartesian
1.622 1.689 1.361 Se
1.622 -1.689 1.361 Se
0.000 0.000 0.388 Mo
1.622 0.000 3.263 Mo
0.000 -1.551 4.162 S
0.000 1.551 4.162 S
```

Calculated values
V = 107.67 Å³/f.u.

Quick ranking, most stable first: 2, 1.

## 1
Here is a relaxed MoSeS crystal from OQMD via LeMat-Bulk. Energies are from PBE.

Structure (POSCAR):
```
MoSeS
1.0
********

## Result
## YWO3 (PBE+U)

Data for an optimized crystal structure of YWO3.

The structure in POSCAR format:
```
YWO3
1.0
3.597 0.000 0.000
-1.799 3.115 0.000
0.000 0.000 12.712
Y W O
2 2 6
Cartesian
0.000 0.000 0.000
0.000 0.000 6.356
0.000 2.077 3.178
1.799 1.038 9.534
0.000 0.000 3.178
0.000 0.000 9.534
0.000 2.077 1.032
0.000 2.077 5.324
1.799 1.038 7.388
1.799 1.038 11.680
```

Properties
SG	P6_3/mmc
energy	-81.123	eV/cell


## 1
Here is a relaxed PuMoW crystal from OQMD via LeMat-Bulk. Energies are from PBE.

Structure (POSCAR):
```
PuMoW
1.0
0.000 3.110 3.110
3.110 0.000 3.110
3.110 3.110 0.000
Pu Mo W
1 1 1
Cartesian
1.555 1.555 1.555 Pu
0.000 0.000 0.000 Mo
4.665 4.665 4.665 W
```

Calculated values
V = 60.14 Å³/f.u.

## 2
Here is a relaxed PuMoW crystal from OQMD via LeMat-Bulk. Energies are from PBE.

Structure (POSCAR):
```
PuMoW
1.0
0.091 -2.113 3.804
-2.530 1.323 3.285
-3.406 -2.413 1.231
Pu W Mo
1 1 1
Cartesian
0.000 0.000 0.000 Pu
-4.384 -2.402 6.240 W
-1.461 -0.801 2.080 Mo
```

Calculated values
V = 58.29 Å³/f.u.

Quick ranking, most stable first: 1, 2.

## 1
Here is a relaxed RbSbMo crystal from OQMD via LeMat-Bulk. Energies are from PBE.

Structure (POSCAR):
```
RbSbMo
1.0
0.000 3.809 3.809
3.809 0.000 3.809
3.809 3.809 0.000
Mo Sb Rb
1 1 1
Cartesian
1.904 1.904 1.904 Mo
5.713 5.713 5.713 Sb
0.000 0.000 0.000 Rb
```

Calculated values
V = 110.49 Å³/f.u.

## 2
Here is a relaxed RbSbMo crystal from OQMD via LeMat-Bulk. Energies are from PBE.

Structure (POSCAR):
```
RbSbMo
1.0
0.000 3.664 3.664
3.664 0.000 3.664
3.664 3.664 0.000
Sb Rb Mo
1 1 1
Cartesian
5.497 5.497 5.497 Sb
1.832 1.832 1.832 Rb
0.000 0.000 0.000 Mo
```

Calculated values
V = 98.42 Å³/f.u.

Quick ranking, most stable first: 2, 1.

## 1
Here is a relaxed RbSrMo crystal from OQMD via LeMat-Bulk. Energies are from PBE.

Structure (POSCAR):
```
RbSrMo
1.0
0.000 4.148 4.148
4.148 0.000 4.148
4.148 4.148 0.000
Sr Mo Rb
1 1 1
Cartesian
6.221 6.221 6.221 Sr
2.074 2.074 2.074 Mo
0.000 0.000 0.000 Rb
```

Calculated values
V = 142.69 Å³/f.u.

## 2
Here is a relaxed RbSrMo crystal from OQMD via LeMat-Bulk. Energies are from PBE.

Structure (POSCAR):
```
RbSrMo
1.0
1.066 -5.611 1.877
-3.832 -4.416 -1.398
1.608 -4.237 -3.950
Mo Sr Rb
1 1 1
Cartesian
-0.290 -3.566 -0.868 Mo
0.000 0.000 0.000 Sr
-0.869 -10.698 -2.603 Rb
```

Calculated values
V = 153.62 Å³/f.u.

Quick ranking, most stable first: 2, 1.

## 1
Here is a relaxed RbTaMo crystal from OQMD via LeMat-Bulk. Energies are from PBE.

Structure (POSCAR):
```
RbTaMo
1.0
-0.344 -3.607 -3.064
-3.699 -0.252 -2.962
0.622 0.762 -4.642
Mo Ta Rb
1 1 1
Cartesian
-0.855 -0.774 -2.667 Mo
-2.566 -2.323 -8.001 Ta
0.000 0.000 0.000 Rb
```

Calculated values
V = 75.56 Å³/f.u.

## 2
Here is a relaxed RbTaMo crystal from OQMD via LeMat-Bulk. Energies are from PBE.

Structure (POSCAR):
```
RbTaMo
1.0
4.678 -0.279 -0.244
2.114 -4.184 0.201
2.047 -1.780 -3.829
Ta Mo Rb
1 1 1
Cartesian
6.630 -4.683 -2.904 Ta
0.000 0.000 0.000 Mo
2.210 -1.561 -0.968 Rb
```

Calculated values
V = 73.06 Å³/f.u.

Quick ranking, most stable first: 2, 1.

## 1
Here is a relaxed MoSeS crystal from OQMD via LeMat-Bulk. Energies are from PBE.

Structure (POSCAR):
```
MoSeS
1.0
3.254 0.000 0.000
-1.627 2.818 0.000
0.000 0.000 13.090
S Mo Se
2 2 2
Cartesian
0.000 1.879 11.410 S
1.627 0.939 4.865 S
1.627 0.939 9.877 Mo
0.000 1.879 3.332 Mo
0.000 1.879 8.165 Se
1.627 0.939 1.620 Se
```

Calculated values
V = 60.03 Å³/f.u.

## 2
Here is a relaxed MoSeS crystal from OQMD via LeMat-Bulk. Energies are from PBE.

Structure (POSCAR):
```
MoSeS
1.0
3.245 0.000 0.000
0.000 11.823 2.807
0.000 -11.823 2.807
Se Mo S
2 2 2
Cartesian
1.622 1.689 1.361 Se
1.622 -1.689 1.361 Se
0.000 0.000 0.388 Mo
1.622 0.000 3.263 Mo
0.000 -1.551 4.162 S
0.000 1.551 4.162 S
```

Calculated values
V = 107.67 Å³/f.u.

Quick ranking, most stable first: 2, 1.

## 1
Here is a relaxed MoSeS crystal from OQMD via LeMat-Bulk. Energies are from PBE.

Structure (POSCAR):
```
MoSeS
1.0